Excerpt:
## 1
## BaSrInWO6 (PBE with a Hubbard U)

Data for BaSrInWO6 after structural relaxation.

```
BaSrInWO6
1.0
5.868 0.000 0.000
-0.007 5.873 0.000
-0.018 -0.002 8.382
Ba Sr In W O
2 2 2 2 12
direct
0.005 0.001 0.250 Ba
0.995 0.999 0.750 Ba
0.493 0.497 0.750 Sr
0.507 0.503 0.250 Sr
0.000 0.500 0.500 In
0.500 0.000 0.000 In
0.000 0.500 0.000 W
0.500 0.000 0.500 W
0.003 0.471 0.757 O
0.230 0.747 0.983 O
0.250 0.769 0.520 O
0.261 0.280 0.019 O
0.281 0.258 0.484 O
0.498 0.041 0.743 O
0.502 0.959 0.257 O
0.719 0.742 0.516 O
0.739 0.720 0.981 O
0.750 0.231 0.480 O
0.770 0.253 0.017 O
0.997 0.529 0.243 O
```


## 2
## BaSrInWO6 (PBE with a Hubbard U)

Data for BaSrInWO6 after structural relaxation.

```
BaSrInWO6
1.0
0.000 4.165 4.165
4.165 0.000 4.165
4.165 4.165 0.000
Ba Sr In W O
1 1 1 1 6
direct
0.000 0.000 0.000 Ba
0.500 0.500 0.500 Sr
0.750 0.750 0.750 In
0.250 0.250 0.250 W
0.009 0.009 0.491 O
0.009 0.491 0.009 O
0.009 0.491 0.491 O
0.491 0.009 0.009 O
0.491 0.009 0.491 O
0.491 0.491 0.009 O
```


Energetically preferred structure: 1 | next structure: +92 meV per atom

Exercise:
Next, work out how many lines further above have the word "Hubbard" in them; a number is enough.

Worked solution:
2